# Given
Structure and computed PXRD pattern of Pu3GaHg (a cell relaxed with PBE; a wavelength of 1.5418 Å).
Neutral-atom scattering factors, no anomalous dispersion.

Largest 8 diffraction maxima, in order of rising 2θ, 5° ≤ 2θ ≤ 70°:
2θ/deg, I_rel, (hkl)
32.14, 23, 2 0 2
33.57, 19, 2 2 1
34.07, 100, 1 2 2
35.26, 73, 1 3 0
36.69, 20, 1 0 3
42.55, 22, 1 3 2
47.03, 19, 2 3 2
60.20, 19, 3 1 4

Structure:
a = 8.042 Å, b = 8.056 Å, c = 7.715 Å
α = 90.00°, β = 90.00°, γ = 90.00°
Fractional positions:
Pu 0.000 0.000 0.250
Pu 0.000 0.000 0.750
Pu 0.129 0.370 0.206
Pu 0.129 0.370 0.794
Pu 0.371 0.870 0.294
Pu 0.371 0.870 0.706
Pu 0.500 0.500 0.250
Pu 0.500 0.500 0.750
Pu 0.629 0.130 0.294
Pu 0.629 0.130 0.706
Pu 0.871 0.630 0.206
Pu 0.871 0.630 0.794
Ga 0.196 0.694 0.000
Ga 0.304 0.194 0.500
Ga 0.696 0.806 0.500
Ga 0.804 0.306 0.000
Hg 0.141 0.640 0.500
Hg 0.359 0.140 0.000
Hg 0.641 0.860 0.000
Hg 0.859 0.360 0.500

---

Structure and computed PXRD pattern of NdThGeOs (a cell relaxed with PBE; a wavelength of 1.5418 Å).
Neutral-atom scattering factors, no anomalous dispersion.

Largest 8 diffraction maxima, in order of rising 2θ, 5° ≤ 2θ ≤ 70°:
2θ/deg, I_rel, (hkl)
15.19, 33, 0 0 2
30.66, 33, 0 0 4
31.46, 29, 0 1 3
31.85, 100, 1 1 1
38.11, 18, 1 0 4
38.78, 68, 1 1 3
43.42, 23, 0 2 0
45.07, 21, 2 0 0

Structure:
a = 4.023 Å, b = 4.168 Å, c = 11.665 Å
α = 90.00°, β = 90.00°, γ = 90.00°
Fractional positions:
Nd 0.000 0.000 0.000
Nd 0.000 0.500 0.500
Th 0.500 0.000 0.275
Th 0.500 0.500 0.775
Ge 0.500 0.000 0.576
Ge 0.500 0.500 0.076
Os 0.000 0.000 0.729
Os 0.000 0.500 0.229

---

- Number 1 is which compound?
  Pu3GaHg

---

- Which formula does entry 2 have?
  NdThGeOs

# Request
It remains to copy the whole of the entries further above with every line break kept.

# Here it is
Structure and computed PXRD pattern of Pu3GaHg (a cell relaxed with PBE; a wavelength of 1.5418 Å).
Neutral-atom scattering factors, no anomalous dispersion.

Largest 8 diffraction maxima, in order of rising 2θ, 5° ≤ 2θ ≤ 70°:
2θ/deg, I_rel, (hkl)
32.14, 23, 2 0 2
33.57, 19, 2 2 1
34.07, 100, 1 2 2
35.26, 73, 1 3 0
36.69, 20, 1 0 3
42.55, 22, 1 3 2
47.03, 19, 2 3 2
60.20, 19, 3 1 4

Structure:
a = 8.042 Å, b = 8.056 Å, c = 7.715 Å
α = 90.00°, β = 90.00°, γ = 90.00°
Fractional positions:
Pu 0.000 0.000 0.250
Pu 0.000 0.000 0.750
Pu 0.129 0.370 0.206
Pu 0.129 0.370 0.794
Pu 0.371 0.870 0.294
Pu 0.371 0.870 0.706
Pu 0.500 0.500 0.250
Pu 0.500 0.500 0.750
Pu 0.629 0.130 0.294
Pu 0.629 0.130 0.706
Pu 0.871 0.630 0.206
Pu 0.871 0.630 0.794
Ga 0.196 0.694 0.000
Ga 0.304 0.194 0.500
Ga 0.696 0.806 0.500
Ga 0.804 0.306 0.000
Hg 0.141 0.640 0.500
Hg 0.359 0.140 0.000
Hg 0.641 0.860 0.000
Hg 0.859 0.360 0.500

---

Structure and computed PXRD pattern of NdThGeOs (a cell relaxed with PBE; a wavelength of 1.5418 Å).
Neutral-atom scattering factors, no anomalous dispersion.

Largest 8 diffraction maxima, in order of rising 2θ, 5° ≤ 2θ ≤ 70°:
2θ/deg, I_rel, (hkl)
15.19, 33, 0 0 2
30.66, 33, 0 0 4
31.46, 29, 0 1 3
31.85, 100, 1 1 1
38.11, 18, 1 0 4
38.78, 68, 1 1 3
43.42, 23, 0 2 0
45.07, 21, 2 0 0

Structure:
a = 4.023 Å, b = 4.168 Å, c = 11.665 Å
α = 90.00°, β = 90.00°, γ = 90.00°
Fractional positions:
Nd 0.000 0.000 0.000
Nd 0.000 0.500 0.500
Th 0.500 0.000 0.275
Th 0.500 0.500 0.775
Ge 0.500 0.000 0.576
Ge 0.500 0.500 0.076
Os 0.000 0.000 0.729
Os 0.000 0.500 0.229

---

- Number 1 is which compound?
  Pu3GaHg

---

- Which formula does entry 2 have?
  NdThGeOs